"Holding my baby in my arms for the first time was the most precious moment of my life!"
My husband Rowen and I welcomed our first born, a beautiful baby boy, Arjay Francis into the world on Friday November 18th, 2016 at 10:25am. Arjay weighed 3.148kg (6 pound, 15 ounces) and measured 50cm. My birth experience was nothing short of incredible. Going through a 36 hour labour was extremely exhausting, however I couldn’t be more thankful for what Shari at Belly2Birth Hypnobirthing taught Rowen and myself. After learning a range of techniques from Shari, I felt very positive about the birth and confident in myself. Any fears I had about the birth itself were completely erased. Rowen also benefitted from the course, easing his mind about what to expect and how to be an incredible birth partner – which he was, absolutely perfect. Along with Rowen, I had my mother Natascha, and my sister Jazmin in the birthing suite.
== What comes next are quantum chemistry results, not part of the piece ==
1.
A molecular structure, C17H33Br3FNOPS. Source: the OMol25 dataset; level of theory: ωB97M-V/def2-TZVPD.

```
58
Properties=species:S:1:pos:R:3
C 5.447 -2.104 -0.312
O 5.442 -0.777 -0.785
C 4.151 -0.252 -1.020
C 4.028 1.123 -0.385
C 2.584 1.650 -0.371
C 2.197 2.240 0.985
C 0.879 3.020 0.991
C -0.263 2.375 0.201
C -0.618 0.959 0.684
C -1.686 0.960 1.786
C -3.135 1.247 1.359
C -3.636 0.419 0.171
P -3.228 1.395 -1.470
C -2.686 0.097 -2.671
C -4.880 1.853 -2.133
N -3.094 -0.958 0.171
C -3.900 -1.842 -0.306
S -3.412 -3.490 -0.568
C -5.218 -1.204 -0.636
C -5.124 0.050 0.233
F -5.420 -0.401 1.520
H 5.031 -2.177 0.699
H 6.481 -2.442 -0.283
H 4.883 -2.775 -0.971
H 3.387 -0.918 -0.599
H 3.990 -0.196 -2.104
H 4.411 1.040 0.636
H 4.688 1.820 -0.903
H 1.909 0.823 -0.618
H 2.456 2.410 -1.147
H 3.002 2.896 1.324
H 2.161 1.429 1.722
H 0.560 3.203 2.022
H 1.059 4.010 0.563
H -1.148 3.012 0.263
H 0.003 2.349 -0.858
H 0.278 0.489 1.093
H -0.897 0.338 -0.178
H -1.398 1.744 2.490
H -1.666 0.034 2.369
H -3.784 1.029 2.209
H -3.262 2.304 1.125
H -2.588 -0.902 -2.240
H -1.700 0.378 -3.038
H -3.365 0.030 -3.520
H -5.383 2.511 -1.423
H -5.554 1.047 -2.424
H -4.665 2.458 -3.015
H -2.160 -1.190 0.489
H -4.504 -3.982 0.042
H -5.286 -1.023 -1.710
H -6.042 -1.842 -0.317
H -5.808 0.867 0.033
C 7.315 -5.135 2.236
Br 7.209 -3.665 3.468
Br 5.688 -5.311 1.220
Br 8.842 -4.984 1.083
H 7.430 -6.039 2.816
```

For the energy relative to the best compared isomer or geometry (same formula, charge and spin), the calculation gives 0.0 kcal per mole. The value obtained for the LUMO energy is -4.3 eV. The gap between HOMO and LUMO is 0.2546 Eh. The charge is +1.



2.
A molecular structure, C17H33N7Sm. Source: the OMol25 dataset; level of theory: ωB97M-V/def2-TZVPD.

```
58
Properties=species:S:1:pos:R:3
Sm 0.122 -0.082 -0.376
C 2.230 2.064 1.120
C 2.769 0.664 1.425
N 1.736 -0.352 1.664
C 1.072 -0.354 3.004
C -0.223 0.476 2.977
C -0.752 0.948 4.177
C -1.897 1.808 4.159
C -2.500 2.088 2.927
C -2.010 1.365 1.807
C -2.714 1.612 0.484
N -1.791 1.746 -0.654
C -0.991 3.017 -0.785
C 0.208 3.141 0.208
N 1.299 2.101 -0.022
N -0.952 0.554 1.836
H 3.111 2.696 0.854
H 1.757 2.490 2.051
H 3.425 0.740 2.323
H 3.434 0.350 0.571
H 2.171 -1.310 1.594
H 1.725 0.049 3.751
H 0.837 -1.404 3.298
H -0.314 0.528 5.087
H -2.381 2.130 5.146
H -3.309 2.824 2.800
H -3.255 2.543 0.612
H -3.430 0.793 0.270
H -2.385 1.739 -1.520
H -1.591 3.923 -0.686
H -0.570 3.027 -1.798
H -0.106 3.161 1.218
H 0.635 4.119 -0.027
H 1.886 2.444 -0.779
C -1.540 -2.608 -1.847
C -1.582 -1.389 -2.819
N -0.413 -0.527 -2.823
C 0.701 -0.972 -3.704
C 1.730 -1.923 -3.077
N 1.691 -1.918 -1.550
C 1.410 -3.195 -0.881
C 0.090 -3.279 -0.062
N -0.949 -2.329 -0.517
H -1.009 -3.377 -2.399
H -2.625 -2.868 -1.722
H -2.507 -0.825 -2.628
H -1.850 -1.769 -3.825
H -0.782 0.356 -3.230
H 1.264 -0.091 -4.099
H 0.273 -1.433 -4.589
H 2.757 -1.644 -3.387
H 1.597 -2.976 -3.376
H 2.637 -1.602 -1.279
H 2.234 -3.476 -0.183
H 1.422 -4.008 -1.672
H 0.220 -3.153 1.006

I had a slow leak of fluid on Wednesday 16th, 2016 at 10:00pm. We called the hospital at this point where we were asked to come in. The midwife confirmed that my waters had broken. Arjay’s heartbeat was monitored for an hour or so and we were then asked if I wanted to be induced or to head home and wait for surges to start. As Rowen and I wanted the most natural birth possible for our little man, we headed home. Soon after this I had very mild surges and slept through until the morning. Throughout my surges during the day I used the exercise ball to relax and b
through my surges. The Hypnobirthing tracks that Shari provided me with were playing in the background, which relaxed my body even more. We didn’t head to the hospital until around 11:45pm that night where surges were around 3-4 minutes apart. At this point, we were told that my membranes had ruptured; however the sac was still in tact. Therefore Arjay hadn’t moved down at all during the surges I was having throughout the day. This unfortunately was not what we wanted to hear, however I remained positive, calm and focused. As my membranes had been ruptured for 24 hours, I then had to be induced to reduce the risk of infection. After being induced, the surges became a lot stronger and closer together. Throughout the surges I used the breathing techniques that Shari had taught me. My affirmations track was playing in the background in the birthing suite, which eased my mind and helped me to remain calm, relaxed and focused.

A technique I particularly found useful aside from the breathing techniques were the acupressure points. Before Shari’s course I had no idea what these were or how they worked. As Arjay was posterior for most of my labour, I had a lot of pain in my back throughout the surges. Rowen, my mum and Jazmin all knew about the acupressure points and used this technique to ease the pressure I was feeling in my back – it was incredible how much it assisted with the pain. I used the shower in the birthing suite to also ease my back pain. Relaxing in the shower with the water running on my back allowed Arjay to position himself anterior again. Whilst being in the shower I felt the urge to start pushing as each surge passed through. I thought to myself that I wouldn’t move from the shower until he is here, however Arjay’s heart rate dropped to 80 bpm and wasn’t coming back up. Therefore, I needed to make my way out of the shower and to the hospital bed. This was the hardest 15 minutes to move about 5 metres! My husband Rowen was SO incredible during this time. After getting up from the shower floor I faced Rowen hugging him with my arms over his shoulders as he helped me to the bed. Rowen remained calm and relaxed my mind again; he even started singing our first dance song (so cute I know). Arjay’s heart rate returned to normal again, and after around 4 big pushes, he was here. Arjay and I had immediate skin-to-skin, a very emotional time that I will never forget. After this, Rowen had skin-to-skin time with Arjay.
The support I had throughout my birthing experience was amazing. Rowen, my mum and Jazmin were all absolutely wonderful, together we worked through the techniques that Shari had taught us and Arjay was delivered naturally and safely. Arjay is a beautiful, content, happy and healthy little man who we love endlessly. Thanks so much again to Shari, you are amazing!
Monique & Rowen
Gold Coast
To book a face-to-face group Hypnobirthing Childbirth Education course with Shari Lyon on the Gold Coast Australia CLICK HERE
To purchase the Journey to Birth Hypnobirthing Online Course CLICK HERE